Empowering you to get the night’s sleep you not only want, but deserve!

Hi, Tired Parents!

Are you ready to get more sleep?

About Us:

We are Ronna and Janna, a mother-daughter duo, both of us Certified Pediatric Sleep Consultants, who love working with new parents and their children as they regain control of their lives through more sleep.

Raising kids is hard!

We know this both personally and professionally. It is also a wonderfully rewarding time if you can be rested enough to appreciate it. Being sleep deprived makes parenting challenging, exhausting, and not much fun. It can lead you to doubt yourself and your ability to parent. We get it, and are here to help!

Influenced by our clinical social work experiences supporting new parents in a preschool, working with pregnant and postpartum moms in a large Los Angeles medical center, leading new parent support groups, and providing sleep consulting, Ronna and Janna combined their passions to launch Baby Snooze Coach.

No one knows your child like you. That’s why we will partner with you, combining your understanding of your child with our experience and training as certified infant and toddler sleep consultants and clinical social workers. We get the importance of listening to you and not being judgmental so we can understand your parenting challenges and preferences.

We create customized sleep plans, using the information you provide, which will meet your needs and incorporate your parenting priorities.

Our goal is to help you cut through the clutter and make your life easier by getting you and your child restful sleep.

We can’t wait to be part of your parenting journey, whether you are looking for a full partnership or just a few phone calls to answer some questions: Baby Snooze Coach is the right choice.

We are here to help.

Does a good night’s sleep sound like a dream?

(Attached: data records)
┌──
Record 1
Entry from the Materials Project: an optimized crystal structure of Mn8PbO16 (GGA+U).

## Properties
VASP energy   -7.12 eV per atom
Volume   11.77 Å³ per atom

Cell: 5.9542 7.1682 7.2035 Å, 87.15 78.13 77.92°
Closest atoms and distances in Å follow each position.
Atoms (fractional coordinates):
Mn 0.0758 0.5143 0.1851  6 O 1.92-2.05
Mn 0.5753 0.5202 0.1837  6 O 1.91-1.99
Mn 0.8330 0.1819 0.4856  6 O 1.92-2.01
O 0.6529 0.0460 0.3604  3 Mn 1.95-1.99
O 0.6778 0.3586 0.9519  3 Mn 1.96-1.99
O 0.5248 0.2956 0.6174  3 Mn 1.91-1.95
O 0.9800 0.7043 0.3795  3 Mn 1.92-1.96
Mn 0.1674 0.8159 0.5133  6 O 1.93-2.00
O 0.8320 0.6439 0.0484  3 Mn 1.97-1.98
Mn 0.9249 0.4856 0.8168  6 O 1.92-1.98
O 0.1725 0.3476 0.9478  3 Mn 1.98-2.05
O 0.1451 0.0414 0.3463  3 Mn 1.96-2.07
O 0.3367 0.3767 0.2868  3 Mn 1.91-1.93
O 0.3211 0.6501 0.0525  3 Mn 1.98-2.06
O 0.8344 0.3715 0.2856  3 Mn 1.93-1.94
Mn 0.6668 0.8184 0.5212  6 O 1.91-2.05
O 0.0202 0.2937 0.6213  3 Mn 1.93-1.96
O 0.1664 0.6269 0.7140  3 Mn 1.93-1.95
O 0.6667 0.6250 0.7135  3 Mn 1.91-1.93
O 0.8589 0.9532 0.6441  3 Mn 1.95-2.00
Mn 0.4291 0.4803 0.8151  6 O 1.91-2.06
Mn 0.3345 0.1837 0.4804  6 O 1.91-2.07
O 0.4794 0.7057 0.3817  3 Mn 1.91-1.96
O 0.3386 0.9591 0.6490  3 Mn 1.97-2.05
Pb 0.0926 0.0005 0.9984  4 O 2.62-2.65

Record 2
Entry from the Materials Project: an optimized crystal structure of V3O8 (GGA+U).

## Properties
VASP energy   -7.06 eV per atom
Volume   14.57 Å³ per atom
Energy above the most stable polymorph in this dataset   493.5 meV per atom

Cell: 9.5702 9.5702 4.7096 Å, 84.56 95.44 158.08°
Closest atoms and distances in Å follow each position.
Atoms (fractional coordinates):
V 0.1871 0.8129 0.3696  1 O 1.61
V 0.0000 0.0000 0.5000  4 O 1.83-1.91
O 0.8168 0.1832 0.9737  1 V 1.61
O 0.1832 0.8168 0.0263  1 V 1.61
O 0.0954 0.9046 0.4559  2 V 1.81-1.83
O 0.7080 0.2920 0.4681  3 V 1.91-2.05
V 0.8129 0.1871 0.6304  1 O 1.61
O 0.0250 0.9750 0.9021  1 O 1.38
O 0.9046 0.0954 0.5441  2 V 1.81-1.83
O 0.2920 0.7080 0.5319  3 V 1.91-2.05
O 0.9750 0.0250 0.0979  1 O 1.38

Record 3
Entry from the Materials Project: an optimized crystal structure of Mg2TiWO6 (GGA+U).

## Properties
VASP energy   -7.34 eV per atom
Volume   10.71 Å³ per atom
Energy above the most stable polymorph in this dataset   0.0 meV per atom

Cell: 5.3655 5.2304 9.1593 Å, 56.46 90.00 90.00°
Closest atoms and distances in Å follow each position.
Atoms (fractional coordinates):
O 0.3067 0.4038 0.9309  1 Ti 1.93, 1 Mg 2.06, 1 W 2.11
O 0.3188 0.7435 0.5708  1 Ti 1.97, 1 W 2.05, 1 Mg 2.08
O 0.1812 0.7435 0.0708  1 Ti 1.97, 1 W 2.05, 1 Mg 2.08
O 0.5648 0.8755 0.2539  1 Ti 2.04, 1 W 2.07, 2 Mg 2.08-2.18
W 0.0000 0.0000 0.5000  6 O 2.05-2.11
W 0.5000 0.0000 0.0000  6 O 2.05-2.11
O 0.6812 0.2565 0.4292  1 Ti 1.97, 1 W 2.05, 1 Mg 2.08
Mg 0.5513 0.7366 0.7551  4 O 2.06-2.18
Ti 0.0000 0.5000 0.0000  6 O 1.93-2.04
Ti 0.5000 0.5000 0.5000  6 O 1.93-2.04
O 0.4352 0.1245 0.7461  1 Ti 2.04, 1 W 2.07, 2 Mg 2.08-2.18
└──

You’re EXHAUSTED, overwhelmed, and angry …

Are you ready to be transformed…be rested…and enjoy parenting?

We are committed to supporting new parents by providing them with the sleep they need and deserve. Whether you are a mom or a dad, not getting the sleep we need affects our relationships, work performance and our ability to parent. Let us help you reclaim your nights!

We will provide you with the guidance, support, and knowledge to help your child learn to sleep independently. We utilize a non-judgmental, supportive approach that meets you where you are.

== Data records, as found in the file ==
-- begin --
No. 1
First-principles (PBE-GGA) data for a relaxed structure of RbCa2Ta3O10, as listed in the Materials Project.

Results
Formation energy   -3.317 eV/atom
DFT total energy   -136.25 eV for the cell shown

Cell: 3.941 3.941 15.313 Å, 90.00 90.00 90.00°
Element x y z (fractional)
Rb 0.000 0.000 0.000
Ca 0.000 0.000 0.350
Ca 0.000 0.000 0.650
Ta 0.500 0.500 0.220
Ta 0.500 0.500 0.500
Ta 0.500 0.500 0.780
O 0.000 0.500 0.247
O 0.000 0.500 0.500
O 0.000 0.500 0.753
O 0.500 0.000 0.247
O 0.500 0.000 0.500
O 0.500 0.000 0.753
O 0.500 0.500 0.103
O 0.500 0.500 0.371
O 0.500 0.500 0.629
O 0.500 0.500 0.897

No. 2
First-principles (PBE-GGA) data for a relaxed structure of Na14Ca6Hf2Si5S7O48, as listed in the Materials Project.

Results
Formation energy   -2.645 eV/atom
DFT total energy   -1583.94 eV for the cell shown

Cell: 9.448 16.354 23.110 Å, 89.79 89.92 89.88°
Element x y z (fractional)
Na 0.000 0.000 0.000
Na 0.001 0.034 0.339
Na 0.010 0.335 0.016
Na 0.015 0.653 0.355
Na 0.124 0.151 0.856
Na 0.125 0.840 0.508
Na 0.128 0.503 0.492
Na 0.135 0.532 0.858
Na 0.140 0.185 0.508
Na 0.152 0.840 0.165
Na 0.192 0.859 0.862
Na 0.291 0.009 0.931
Na 0.304 0.998 0.430
Na 0.309 0.346 0.591
Na 0.310 0.341 0.082
Na 0.311 0.675 0.260
Na 0.322 0.703 0.762
Na 0.445 0.845 0.342
Na 0.461 0.189 0.024
Na 0.463 0.494 0.023
Na 0.466 0.509 0.671
Na 0.482 0.861 0.002
Na 0.493 0.519 0.347
Na 0.513 0.168 0.336
Na 0.513 0.204 0.677
Na 0.623 0.708 0.176
Na 0.627 0.672 0.847
Na 0.641 0.018 0.854
Na 0.656 0.354 0.494
Na 0.671 0.994 0.517
Na 0.676 0.696 0.518
Na 0.685 0.006 0.170
Na 0.688 0.342 0.852
Na 0.820 0.170 0.763
Na 0.826 0.184 0.252
Na 0.826 0.845 0.581
Na 0.830 0.496 0.940
Na 0.834 0.856 0.097
Na 0.839 0.507 0.419
Na 0.940 0.353 0.355
Na 0.972 0.325 0.668
Na 0.995 0.689 0.016
Ca 0.308 0.009 0.269
Ca 0.308 0.681 0.419
Ca 0.309 0.677 0.110
Ca 0.310 0.685 0.919
Ca 0.313 0.688 0.609
Ca 0.315 0.009 0.781
Ca 0.315 0.350 0.442
Ca 0.318 0.345 0.946
Ca 0.324 0.348 0.743
Ca 0.815 0.508 0.773
Ca 0.815 0.851 0.241
Ca 0.819 0.846 0.444
Ca 0.820 0.508 0.280
Ca 0.820 0.849 0.944
Ca 0.824 0.176 0.609
Ca 0.826 0.183 0.416
Ca 0.827 0.183 0.110
Ca 0.829 0.181 0.922
Hf 0.299 0.011 0.084
Hf 0.308 0.005 0.578
Hf 0.327 0.351 0.248
Hf 0.807 0.852 0.747
Hf 0.822 0.510 0.579
Hf 0.827 0.505 0.080
Si 0.005 0.014 0.185
Si 0.007 0.675 0.510
Si 0.132 0.174 0.009
Si 0.158 0.528 0.007
Si 0.159 0.837 0.015
Si 0.172 0.499 0.345
Si 0.467 0.860 0.182
Si 0.469 0.833 0.508
Si 0.515 0.843 0.849
Si 0.621 0.343 0.349
Si 0.663 0.361 0.681
Si 0.667 0.333 0.008
Si 0.962 0.999 0.845
Si 0.975 0.028 0.507
Si 0.976 0.335 0.517
S 0.016 0.348 0.842
S 0.117 0.511 0.678
S 0.123 0.845 0.345
S 0.155 0.864 0.681
S 0.175 0.200 0.342
S 0.177 0.161 0.679
S 0.462 0.169 0.181
S 0.468 0.501 0.843
S 0.474 0.196 0.842
S 0.478 0.526 0.518
S 0.505 0.173 0.517
S 0.520 0.508 0.181
S 0.614 0.008 0.680
S 0.630 0.672 0.016
S 0.654 0.026 0.015
S 0.660 0.001 0.347
S 0.663 0.695 0.344
S 0.669 0.665 0.681
S 0.957 0.659 0.179
S 0.962 0.700 0.840
-- stop --

At Baby Snooze Coach, we understand that each child is unique and that there is no one-size-fits-all approach to sleep training. We base our custom sleep plans on your family’s goals and your child’s temperament and personality.

We are excited to be part of your parenting journey!

Let’s work together…

Send us an e-mail with which package you are interested in. We will respond within 24 hours with some available times for your free 15 minute consultation.


Simple Snooze Solutions:

Option 1: One 30- minute phone call (“quick fix chat”) + one 15 minute follow up call $185

Option 2: One 50-minute phone call + one 15 minutes follow up call $225

Option 3: One 50 minute phone call + two 30-minute follow up calls $285

Option 4: One 50-minute phone call with 7 days of unlimited texting (8 AM until 8 PM PST) $325

Add ons:

  • 3 additional 15 minute check in phone calls $135 (8 AM until 8 PM PST)

  • Written summary of phone call with personalized sleep strategies (emailed within 48 hours of phone call) $150

Life is stressful enough right now. Let’s make this part as easy as possible.

Click this link to request a free 15 minute phone consultation. We will talk about what you want to be different and how we can help you get there. If it feels like a good fit, we will set up a time for our first session and go from there.

Baby Snooze Coach

What our clients are saying

Baby Snooze Coach gave me the confidence to use my mom intuition while also providing me with the education I needed. Most importantly, they never judged me and always showed me compassion. Baby Snooze Coach works with you instead of telling you what to do.”

“ Sometimes you just need a cheerleader when you’re exhausted and mentally depleted, and Baby Snooze Coach was definitely that for me.”

Ronna and Janna were wonderful to work with and made me feel very comfortable throughout the process. They are totally judgement-free!

They checked in with me throughout the week and then made tweaks to our sleep plan as I updated them on my son’s progress. Ronna and Janna helped me get my son on a consistent bedtime schedule which prevented him from being overtired at bedtime.

“Just when we thought all hope was lost, Baby Snooze Coach taught our baby to sleep through the night!”

“When my baby was six-months old, my husband and I were desperate for sleep. We felt like we had tried everything except for sleep training. We wrongly associated sleep training with ‘crying it out', and quickly learned that there were other possible methods to try, but we still weren’t sure if we believed this was a good option. We felt like monsters anytime we didn’t immediately respond to her needs. We spoke with family, friends, and even an entire moms Facebook group, but we still weren’t convinced sleep training was for us, even though we were exhausted and miserable, and even though absolutely everyone who had done it highly recommended it….

….THEN we spoke with Baby Snooze Coach. The way they explained sleep training and how it would benefit our daughter and our entire family finally made sense. I felt like I had found the perfect coach who was a mix of comforting, understanding and realistic. They didn’t push any ideas on us at ALL, which was so helpful. They helped us find what would work best for our family and we all took it from there….

….Most importantly, what they recommended WORKED. My daughter is like a different baby! She took sleep training surprisingly quickly and slept through the entire night on the second night.”


Dedication. Compassion. Expertise.